Integration of NDN with P, K and N recovery as (K-) struvite fertilizer in swine manure treatment
Development of a new process for the recovery of potassium struvite for use as a fertiliser with applications in the treatment of pig slurry
Water Resources Management in Visitor Attractions – FIT4USE Water Recirculation Technology
New system-driven bioremediation of polluted habitats and environment
New membrane concentration systems wihtin high VOC concentration ranges to producte PHAs
Decision Support System based on Digital Twins for WWTP optimization
Giro hacia la reNaturalización para una Girona más resiliente y saludable
Virtual twins for urban water futures: planning scenarios for the hydrosocial cycle
Portable bioelectrochemical modules for decentralised mitigation of CO2 emissions using surplus energy
Giving four lives to osmotic membranes with innovative recycling processes
Process intensificAtioN for bioelectroCO2 recyclinG into carbon-nEutrAl products
Advanced Technology for Microbial Electro-Synthesis of Platform cHemicals and Efficient in-situ Recovery via Electrodialysis
a comprehensive platform to capture CO2 from indoor air, transform it into valuable carbon-neutral commodity chemicals
Implementation and validation of a decision support system for the control and management of drinking water treatment plants
Bioelectroconversion of orGAnic waste streams and CO2 into sustaInAble fuels
Implementation of forward osmosis membrane technology to transform urban wastewater treatment in resource recovery factory
A StEp forward in the ResiLient management Of DrinKing Water Utilities. From applied research to full-scale validation
Electricity-driven single-cell protein production
REnd-cap: sustainable membrane technology for decentralized areas
Sustainable Production of n-Butanol by Artificial Consortia Through Synthetic and Systems Biology Approaches
urban water cycle ResIlient To pAndemics
Microbial Electrosynthesis of Biofuels from CO2
Technological platform based on bioelectrochemical systems
Electricity driven Low Energy and Chemical input Technology foR Accelerated bioremediation
A smart adaptive socio-economic solution
Edible Cities Network – Integrating Edible City Solutions for social resilient and sustainably productive cities
Recerca en tecnologies de regeneració d’aigua i gestió del risc per la reutilització
Recuperació i valorització de recursos de digestats urbans en el marc de l’economia circular
Integration of recycled membranes in water processes
Biological routes for CO2 conversion into chemical building blocks
selective siloxane capture for indoor pco
Circular Economy to ease urban water reuse in a touristic city: centralised or decentralised management?
Toward the development of an EDSS for water treatment works: from basic research to optimal operation at full-scale
Misplaced molecular data =
........
Formula: C3H4FNO2
Source: the OMol25 dataset
Level of theory: ωB97M-V/def2-TZVPD

## Properties
Energy relative to the best compared isomer or geometry (same formula, charge and spin): 106.3 kcal/mol
Max |F|: 0.1111 Eh/bohr
LUMO level: -0.14 eV
HOMO energy: -9.554 eV
Multiplicity: 1
HOMO-LUMO gap: 9.41 eV

Last column: Mulliken charge in e.
Element x y z (Å)
C  -0.100  0.419  0.768  -0.592
C  1.170  0.597  -0.162  0.271
C  0.392  -0.481  -1.133  0.157
H  -2.374  -1.553  0.730  0.375
H  0.032  0.107  1.849  0.273
H  -0.615  1.530  0.927  0.205
H  1.991  0.038  0.256  0.296
N  -0.661  -0.540  -0.123  0.293
O  -1.979  -0.950  -0.317  -0.480
O  0.727  -1.001  -2.165  -0.522
F  1.418  1.833  -0.631  -0.276

Atomic forces in eV per Å
C -0.51 4.32 1.91
C -2.68 -3.01 0.40
C 0.52 0.96 0.84
H 2.09 2.53 -4.68
H 0.15 -0.22 -1.33
H 0.77 -2.73 -0.94
H 0.95 0.63 0.01
N 1.05 -0.75 -2.49
O -1.11 -2.05 4.86
O -1.38 0.44 1.41
F 0.13 -0.15 0.02

~~~~~

(1)
78
Properties=species:S:1:pos:R:3 method="wB97M-V/def2-TZVPD" relative_energy_ev=1.621 gap_ev=10.046 spin_multiplicity=1 charge=0
C 0.15170 -1.59060 4.32525
O 0.24543 -0.94240 3.08075
H 1.13379 -1.93938 4.67332
H -0.30915 -0.94383 5.06780
H -0.36675 -2.54787 4.25109
H 0.63333 -0.06422 3.22261
C -2.32865 1.12774 3.07859
O -3.61720 1.55956 2.58342
H -1.79791 0.79051 2.18801
H -1.85649 1.91778 3.66744
H -2.51325 0.32583 3.79085
H -3.48472 2.32130 2.01347
C -3.62906 1.28021 -0.43804
O -3.14077 1.83093 -1.67355
H -3.78687 2.13586 0.21695
H -4.57392 0.74474 -0.55512
H -2.92520 0.54643 -0.03950
H -3.61513 1.37783 -2.37718
C 3.86064 4.27584 -0.78670
O 2.78681 3.36066 -0.70285
H 3.86585 5.07604 -0.04291
H 4.80733 3.73717 -0.67985
H 3.85942 4.81613 -1.74187
H 3.10435 2.50883 -1.07312
C 0.40174 -3.40035 -2.37241
O -0.63026 -3.17341 -1.42158
H 1.33368 -3.56780 -1.82322
H 0.21588 -4.29138 -2.96870
H 0.44039 -2.56495 -3.07766
H -0.46627 -2.38045 -0.87981
C -3.66576 -1.82861 0.15575
O -3.33691 -2.09812 -1.20624
H -3.42700 -2.71496 0.75734
H -3.08395 -0.99526 0.55962
H -4.73770 -1.67057 0.22587
H -2.40079 -2.34637 -1.24721
C 4.78899 0.67562 -2.41203
O 3.54428 0.94842 -1.77140
H 5.12652 1.56163 -2.95373
H 5.54996 0.41692 -1.67528
H 4.66560 -0.09097 -3.18114
H 3.42999 0.28092 -1.06559
C 0.22728 -4.54182 1.38027
O 0.20007 -5.59820 2.33691
H -0.07029 -4.94013 0.41559
H -0.46858 -3.73368 1.63472
H 1.21526 -4.08127 1.35933
H 0.93607 -5.49275 2.94079
C -0.60402 4.01639 -1.01211
O 0.36400 4.81761 -0.40398
H -0.56638 2.99438 -0.61925
H -1.60166 4.40195 -0.77274
H -0.69231 3.95941 -2.10557
H 1.22252 4.36978 -0.48107
C 3.28462 -1.73826 0.91016
O 2.88332 -1.32670 -0.38928
H 3.00171 -2.78502 1.01985
H 4.37097 -1.68341 0.94598
H 2.87861 -1.14150 1.72895
H 1.94715 -1.52209 -0.55839
C 1.22064 2.37897 1.75039
O 1.12715 1.90869 3.10875
H 0.23163 2.59836 1.34027
H 1.95137 3.17658 1.68152
H 1.54878 1.54850 1.11389
H 1.48557 2.60839 3.65715
C -0.15907 0.24673 -0.60117
O 0.11575 -0.94899 0.11102
H 0.72548 0.75521 -0.99666
H -0.75919 -0.01759 -1.47464
........
End of the molecular data =
Innovative Ecological on-site Sanitation System for Water and Resource Savings
Smart decentralized water management through a dynamic integration of technologies
OMBReuse – Osmotic membrane bioreactor for water reuse
Tratamiento biológico de lixiviados mediante una nitritación parcial y oxidación anaerobia del amonio en el proceso PANI-SBR y ANAMMOX
Innovative technologies for biogas upgrading: from basic research to technology assessment
Strenghtening Smart Air MBR Applications
Innovative technologies for resource efficient cities
Interdisciplinary concepts for municipal wastewater treatment and resource recovery. Tackling future challenges
Conception of the Sewage Treatment Plant of the XXI Century. Development, implementation and evaluation of technologies for the treatment and resources recovery from wastewaters.
Decision support system for the control and remote operation of membrane bioreactors for wastewater treatment and reclamation.
New developments, implementation and validation of the optimal operation at different scales.
Conceiving Wastewater Treatment in 2020. Energetic, environmental and economic challenges
Biological production of butanol from syngas
puShing aHead with field implementatiOn of best fitting WasteWater treatment and management solutions
Sustainable and integrated urban water system management
International network on life cycle assessment and ecodesign for the environmental innovation of technology
Bioelectrochemical systems for water treatment: from extracelullar electronical transfer to biotechnological application
Removal of siloxanes in the energy recovery of WWTP biogas: Advanced oxidation process
First demonstration plant of the PANAMMOX technology applied to the treatment of leachates
CLOsing the NItrogen Cycle from urban landfill leachate by biological nitrogen removal over nitrite and termal treatment.
Demonstrating integrated innovative technologies for an optimal and safe closed water cycle in Mediterranean tourist facilities
Green fertilizer upcycling from manure: Technololgical, economic and environmental sustainability demonstration
Demonstration of innovative water solutions for reuse of water, recovery of valuable substances and resource efficiency in urban wastewater treatment
The fate of micropollutants and disinfection by-products in integrated membrane systems followed by diseinfection. The potencial of indirect and direct potable reuse.
An electroactive filter to democratize the aquaria hobby
smart CompreheNsive training to mainstrEam neW approaches for climaTe-neutRal cities through citizen engAgement and decision-making support for innovative governance and integrated pLanning
Sustainable aviation and shipping fuels from microalgae and direct solar BES technologies
Online Sensing and Digitalization of Drinking Water Supply Systems for Timely Mitigation of Chemical and Microbial Risks
Sustainable uPgraded WWTPs for resOurce recovery, water Reuse and hEalth surveillance in the MEDiterranean region
An integrated platform of novel cost and energy-efficient conversion technologies producing liquid and gaseous bioFUELS from sustainable biogenic residues validated for direct use in fuel Cells
A holistic approach to resource recovery from wastewater
National Network of Microbial Electrochemical Technologies